Contents
'''
Structure and calculated X-ray diffraction stick pattern of Tb2Pr2Dy2Er (a GGA-PBE-relaxed structure; CuKα).

```
Tb2Pr2Dy2Er
1.0
11.773 0.000 0.000
0.000 3.532 0.000
-3.941 0.000 11.226
Tb Pr Dy Er
4 4 4 2
Cartesian
-0.461 0.000 3.002
2.406 1.766 8.224
5.425 1.766 3.002
8.292 0.000 8.224
-0.301 0.000 6.570
2.247 1.766 4.656
5.585 1.766 6.570
8.133 0.000 4.656
-0.742 1.766 9.714
2.687 0.000 1.513
5.144 0.000 9.714
8.573 1.766 1.513
0.000 1.766 0.000
5.886 0.000 0.000
```

The 6 most intense peaks (15 to 90 degrees two-theta), sorted by position:
(1 1 1), 28.44 deg, intensity 34; (2 0 -4), 30.53 deg, intensity 100; (1 1 2), 32.36 deg, intensity 64; (2 0 3), 33.00 deg, intensity 35; (3 1 -2), 35.10 deg, intensity 48; (2 2 -4), 61.30 deg, intensity 42

=====

1.
For NdNpBr6, a crystal structure in OQMD, relaxed with GGA-PBE gives the simulated PXRD pattern in this record (Cu Kα (weighted mean of Kα1 and Kα2)).
Neutral-atom scattering factors, no anomalous dispersion.

Atomic structure:
Unit cell a=9.2523 b=4.0876 c=13.6006 alpha=90.00 beta=90.00 gamma=90.00
Space group Amm2 (No. 38)
Symmetry-distinct sites (fractional):
Nd: 0.0000 0.0000 0.0000 x2
Np: 0.5000 0.0000 0.4799 x2
Br: 0.0000 0.0000 0.6523 x2
Br: 0.1838 0.0000 0.3916 x4
Br: 0.3185 0.0000 0.0884 x4
Br: 0.5000 0.0000 0.8292 x2

Top 10 peaks for 10 to 80 degrees two-theta, in order of rising 2θ:
index	2theta	I (rel.)
0 0 2	13.0	976
2 0 0	19.2	253
0 1 3	29.4	256
1 1 3	31.0	1000
3 0 2	31.9	357
2 0 4	32.7	253
3 1 1	37.1	561
1 1 5	41.0	299
3 1 3	41.7	271
2 0 6	44.5	358

2.
For NdTeBrO3, a crystal structure in OQMD, relaxed with GGA-PBE gives the simulated PXRD pattern in this record (Cu Kα (weighted mean of Kα1 and Kα2)).
Neutral-atom scattering factors, no anomalous dispersion.

Atomic structure:
Unit cell a=3.9012 b=3.9012 c=26.5341 alpha=90.00 beta=90.00 gamma=90.00
Space group P4/nmm (No. 129, origin choice 2)
Symmetry-distinct sites (fractional):
Nd: 0.2500 0.2500 0.0466 x2
Nd: 0.2500 0.2500 0.7116 x2
Te: 0.2500 0.2500 0.2026 x2
Te: 0.2500 0.2500 0.3845 x2
Br: 0.2500 0.2500 0.5508 x2
Br: 0.2500 0.2500 0.8929 x2
O: 0.2500 0.2500 0.2777 x2
O: 0.2500 0.7500 0.0000 x2
O: 0.2500 0.7500 0.2213 x4
O: 0.2500 0.7500 0.3491 x4

Top 10 peaks for 10 to 80 degrees two-theta, in order of rising 2θ:
index	2theta	I (rel.)
0 0 3	10.0	118
1 0 6	30.6	1000
1 1 0	32.5	405
0 0 12	40.8	84
2 0 0	46.6	230
1 1 12	53.1	166
2 1 6	56.7	345
2 0 12	63.6	90
2 2 0	68.0	112
3 0 6	76.3	72

3.
For NdUPBr2, a crystal structure in OQMD, relaxed with GGA-PBE gives the simulated PXRD pattern in this record (Cu Kα (weighted mean of Kα1 and Kα2)).
Neutral-atom scattering factors, no anomalous dispersion.

Atomic structure:
Unit cell a=4.0180 b=4.0180 c=10.9299 alpha=90.00 beta=90.00 gamma=120.00
Space group P3m1 (No. 156)
Symmetry-distinct sites (fractional):
Nd: 0.0000 0.0000 0.0000 x1
U: 0.3333 0.6667 0.7071 x1
P: 0.6667 0.3333 0.8474 x1
Br: 0.0000 0.0000 0.5352 x1
Br: 0.3333 0.6667 0.1776 x1

Top 10 peaks for 10 to 80 degrees two-theta, in order of rising 2θ:
index	2theta	I (rel.)
0 0 2	16.2	136
1 0 0	25.6	239
1 0 1	26.9	142
0 1 2	30.5	1000
0 1 3	35.7	142
1 0 4	42.0	298
1 1 0	45.1	276
2 0 2	55.4	186
1 1 6	69.7	97
1 2 2	74.2	160
'''

Activity
The reader should quote the part of the lines further up that starts with the line with "Amm2 (No." and stops after the one with "0.0000 0.5352".

Result
Space group Amm2 (No. 38)
Symmetry-distinct sites (fractional):
Nd: 0.0000 0.0000 0.0000 x2
Np: 0.5000 0.0000 0.4799 x2
Br: 0.0000 0.0000 0.6523 x2
Br: 0.1838 0.0000 0.3916 x4
Br: 0.3185 0.0000 0.0884 x4
Br: 0.5000 0.0000 0.8292 x2

Top 10 peaks for 10 to 80 degrees two-theta, in order of rising 2θ:
index	2theta	I (rel.)
0 0 2	13.0	976
2 0 0	19.2	253
0 1 3	29.4	256
1 1 3	31.0	1000
3 0 2	31.9	357
2 0 4	32.7	253
3 1 1	37.1	561
1 1 5	41.0	299
3 1 3	41.7	271
2 0 6	44.5	358

2.
For NdTeBrO3, a crystal structure in OQMD, relaxed with GGA-PBE gives the simulated PXRD pattern in this record (Cu Kα (weighted mean of Kα1 and Kα2)).
Neutral-atom scattering factors, no anomalous dispersion.

Atomic structure:
Unit cell a=3.9012 b=3.9012 c=26.5341 alpha=90.00 beta=90.00 gamma=90.00
Space group P4/nmm (No. 129, origin choice 2)
Symmetry-distinct sites (fractional):
Nd: 0.2500 0.2500 0.0466 x2
Nd: 0.2500 0.2500 0.7116 x2
Te: 0.2500 0.2500 0.2026 x2
Te: 0.2500 0.2500 0.3845 x2
Br: 0.2500 0.2500 0.5508 x2
Br: 0.2500 0.2500 0.8929 x2
O: 0.2500 0.2500 0.2777 x2
O: 0.2500 0.7500 0.0000 x2
O: 0.2500 0.7500 0.2213 x4
O: 0.2500 0.7500 0.3491 x4

Top 10 peaks for 10 to 80 degrees two-theta, in order of rising 2θ:
index	2theta	I (rel.)
0 0 3	10.0	118
1 0 6	30.6	1000
1 1 0	32.5	405
0 0 12	40.8	84
2 0 0	46.6	230
1 1 12	53.1	166
2 1 6	56.7	345
2 0 12	63.6	90
2 2 0	68.0	112
3 0 6	76.3	72

3.
For NdUPBr2, a crystal structure in OQMD, relaxed with GGA-PBE gives the simulated PXRD pattern in this record (Cu Kα (weighted mean of Kα1 and Kα2)).
Neutral-atom scattering factors, no anomalous dispersion.

Atomic structure:
Unit cell a=4.0180 b=4.0180 c=10.9299 alpha=90.00 beta=90.00 gamma=120.00
Space group P3m1 (No. 156)
Symmetry-distinct sites (fractional):
Nd: 0.0000 0.0000 0.0000 x1
U: 0.3333 0.6667 0.7071 x1
P: 0.6667 0.3333 0.8474 x1
Br: 0.0000 0.0000 0.5352 x1